**Work order:**
Transcribe the data underneath without altering anything.

**Contents:**
┌──
[1]
{"formula": "C31H45BaBrN2P2", "method": "ωB97M-V with the def2-TZVPD basis set", "elements": ["C", "C", "C", "C", "N", "C", "C", "C", "C", "C", "C", "C", "C", "C", "Ba", "P", "H", "H", "H", "H", "H", "H", "H", "H", "C", "C", "H", "H", "H", "H", "H", "C", "C", "H", "H", "H", "H", "H", "C", "C", "H", "H", "H", "H", "H", "Br", "P", "C", "C", "H", "H", "H", "H", "H", "C", "C", "H", "H", "H", "H", "H", "C", "C", "H", "H", "H", "H", "H", "N", "C", "C", "C", "C", "C", "C", "H", "H", "H", "H", "H", "H", "H"], "coordinates": [[1.85311, 3.73286, -0.37392], [0.86991, 2.97486, -1.06702], [0.96091, 2.98166, -2.48622], [1.99611, 3.68806, -3.10292], [2.94061, 4.38656, -2.44472], [2.83921, 4.40236, -1.10102], [-0.11339, 2.20716, -0.38552], [-1.19759, 1.80536, 0.16378], [-2.55019, 2.09406, 0.56568], [-3.35049, 1.09316, 1.16358], [-4.66649, 1.34986, 1.56028], [-5.19899, 2.63136, 1.35908], [-4.43149, 3.64976, 0.76758], [-3.11869, 3.37906, 0.37538], [0.08041, 0.09076, 0.28808], [2.28481, -0.44994, -0.30622], [0.22771, 2.42936, -3.08242], [1.83871, 3.77376, 0.71948], [2.07321, 3.68766, -4.19982], [3.60321, 4.98566, -0.56722], [-2.51389, 4.16606, -0.08572], [-2.90479, 0.10436, 1.30698], [-4.86309, 4.64356, 0.61838], [-5.27459, 0.56636, 2.02118], [2.87301, -2.19474, 0.05408], [4.02341, -2.79414, -0.76482], [1.96761, -2.81944, -0.05372], [3.11021, -2.20804, 1.13478], [4.21331, -3.83744, -0.45272], [3.78091, -2.81234, -1.84132], [4.96201, -2.23124, -0.63962], [2.59941, -0.20244, -2.13722], [3.98761, 0.21486, -2.63692], [1.86471, 0.56916, -2.42592], [2.26761, -1.13734, -2.62422], [3.96041, 0.36416, -3.73172], [4.30221, 1.17266, -2.18992], [4.76041, -0.54124, -2.42152], [3.52471, 0.66726, 0.54008], [4.99391, 0.24716, 0.66998], [3.09651, 0.83726, 1.54228], [3.43011, 1.63506, 0.01418], [5.56011, 1.02166, 1.21878], [5.09561, -0.69534, 1.23598], [5.48081, 0.11166, -0.30842], [-6.99299, 3.00046, 1.89688], [-1.29869, -1.30724, -1.08752], [-0.38339, -2.38814, -2.32212], [-1.05789, -3.61254, -2.95482], [0.52251, -2.71234, -1.77892], [-0.02679, -1.68894, -3.10152], [-0.34749, -4.13584, -3.62122], [-1.37789, -4.33654, -2.18572], [-1.94059, -3.34184, -3.55512], [-2.45219, -2.51374, -0.21852], [-3.76289, -2.95524, -0.88242], [-2.68139, -2.02894, 0.74638], [-1.81929, -3.38454, 0.03958], [-4.32789, -3.62284, -0.20572], [-4.40889, -2.08734, -1.10042], [-3.59629, -3.50004, -1.82512], [-2.43659, -0.25134, -2.14082], [-2.95779, -0.76354, -3.48862], [-1.86549, 0.68296, -2.29092], [-3.27289, 0.03056, -1.47472], [-3.56559, 0.01836, -3.97992], [-2.12939, -1.01184, -4.17482], [-3.59129, -1.65904, -3.38292], [-0.18799, -1.43684, 2.68188], [-0.29289, -0.78794, 3.93838], [0.50871, -1.22094, 5.00798], [0.40541, -0.61044, 6.26128], [-0.50159, 0.43366, 6.45698], [-1.30139, 0.87306, 5.39748], [-1.19519, 0.26746, 4.14158], [-1.17149, -1.65424, 2.47028], [0.44361, -2.24504, 2.57738], [1.21191, -2.03354, 4.87158], [1.02621, -0.94944, 7.08068], [-0.58649, 0.90106, 7.42918], [-2.00699, 1.67846, 5.55048], [-1.81999, 0.61296, 3.33488]], "mulliken_charge": [-0.39, 0.67, -0.15, -0.54, -0.53, -0.29, -0.99, -0.39, 1.09, 0.14, -0.93, -0.22, -0.62, -0.55, 1.89, -0.55, 0.55, 0.51, 0.40, 0.41, 0.48, 0.40, 0.46, 0.48, -0.51, -1.30, 0.44, 0.59, 0.41, 0.28, 0.27, 0.19, -1.50, -0.04, 0.49, 0.43, 0.29, 0.28, -0.24, -1.33, 0.61, 0.04, 0.42, 0.30, 0.25, -0.11, 0.71, -0.38, -1.46, 0.18, 0.38, 0.42, 0.32, 0.26, -0.48, -1.39, 0.16, 0.57, 0.44, 0.30, 0.25, -0.23, -1.42, 0.31, 0.30, 0.44, 0.32, 0.25, -0.13, 0.69, -0.62, -0.64, -0.56, -0.77, -0.07, 0.12, 0.14, 0.34, 0.41, 0.41, 0.43, 0.43], "mol_weight_g_mol": 724.90, "charge": 2, "e_tot_ev": -125147.992, "e_above_lowest_kcal_mol": 229.47}


[2]
└──

**Completed:**
[1]
{"formula": "C31H45BaBrN2P2", "method": "ωB97M-V with the def2-TZVPD basis set", "elements": ["C", "C", "C", "C", "N", "C", "C", "C", "C", "C", "C", "C", "C", "C", "Ba", "P", "H", "H", "H", "H", "H", "H", "H", "H", "C", "C", "H", "H", "H", "H", "H", "C", "C", "H", "H", "H", "H", "H", "C", "C", "H", "H", "H", "H", "H", "Br", "P", "C", "C", "H", "H", "H", "H", "H", "C", "C", "H", "H", "H", "H", "H", "C", "C", "H", "H", "H", "H", "H", "N", "C", "C", "C", "C", "C", "C", "H", "H", "H", "H", "H", "H", "H"], "coordinates": [[1.85311, 3.73286, -0.37392], [0.86991, 2.97486, -1.06702], [0.96091, 2.98166, -2.48622], [1.99611, 3.68806, -3.10292], [2.94061, 4.38656, -2.44472], [2.83921, 4.40236, -1.10102], [-0.11339, 2.20716, -0.38552], [-1.19759, 1.80536, 0.16378], [-2.55019, 2.09406, 0.56568], [-3.35049, 1.09316, 1.16358], [-4.66649, 1.34986, 1.56028], [-5.19899, 2.63136, 1.35908], [-4.43149, 3.64976, 0.76758], [-3.11869, 3.37906, 0.37538], [0.08041, 0.09076, 0.28808], [2.28481, -0.44994, -0.30622], [0.22771, 2.42936, -3.08242], [1.83871, 3.77376, 0.71948], [2.07321, 3.68766, -4.19982], [3.60321, 4.98566, -0.56722], [-2.51389, 4.16606, -0.08572], [-2.90479, 0.10436, 1.30698], [-4.86309, 4.64356, 0.61838], [-5.27459, 0.56636, 2.02118], [2.87301, -2.19474, 0.05408], [4.02341, -2.79414, -0.76482], [1.96761, -2.81944, -0.05372], [3.11021, -2.20804, 1.13478], [4.21331, -3.83744, -0.45272], [3.78091, -2.81234, -1.84132], [4.96201, -2.23124, -0.63962], [2.59941, -0.20244, -2.13722], [3.98761, 0.21486, -2.63692], [1.86471, 0.56916, -2.42592], [2.26761, -1.13734, -2.62422], [3.96041, 0.36416, -3.73172], [4.30221, 1.17266, -2.18992], [4.76041, -0.54124, -2.42152], [3.52471, 0.66726, 0.54008], [4.99391, 0.24716, 0.66998], [3.09651, 0.83726, 1.54228], [3.43011, 1.63506, 0.01418], [5.56011, 1.02166, 1.21878], [5.09561, -0.69534, 1.23598], [5.48081, 0.11166, -0.30842], [-6.99299, 3.00046, 1.89688], [-1.29869, -1.30724, -1.08752], [-0.38339, -2.38814, -2.32212], [-1.05789, -3.61254, -2.95482], [0.52251, -2.71234, -1.77892], [-0.02679, -1.68894, -3.10152], [-0.34749, -4.13584, -3.62122], [-1.37789, -4.33654, -2.18572], [-1.94059, -3.34184, -3.55512], [-2.45219, -2.51374, -0.21852], [-3.76289, -2.95524, -0.88242], [-2.68139, -2.02894, 0.74638], [-1.81929, -3.38454, 0.03958], [-4.32789, -3.62284, -0.20572], [-4.40889, -2.08734, -1.10042], [-3.59629, -3.50004, -1.82512], [-2.43659, -0.25134, -2.14082], [-2.95779, -0.76354, -3.48862], [-1.86549, 0.68296, -2.29092], [-3.27289, 0.03056, -1.47472], [-3.56559, 0.01836, -3.97992], [-2.12939, -1.01184, -4.17482], [-3.59129, -1.65904, -3.38292], [-0.18799, -1.43684, 2.68188], [-0.29289, -0.78794, 3.93838], [0.50871, -1.22094, 5.00798], [0.40541, -0.61044, 6.26128], [-0.50159, 0.43366, 6.45698], [-1.30139, 0.87306, 5.39748], [-1.19519, 0.26746, 4.14158], [-1.17149, -1.65424, 2.47028], [0.44361, -2.24504, 2.57738], [1.21191, -2.03354, 4.87158], [1.02621, -0.94944, 7.08068], [-0.58649, 0.90106, 7.42918], [-2.00699, 1.67846, 5.55048], [-1.81999, 0.61296, 3.33488]], "mulliken_charge": [-0.39, 0.67, -0.15, -0.54, -0.53, -0.29, -0.99, -0.39, 1.09, 0.14, -0.93, -0.22, -0.62, -0.55, 1.89, -0.55, 0.55, 0.51, 0.40, 0.41, 0.48, 0.40, 0.46, 0.48, -0.51, -1.30, 0.44, 0.59, 0.41, 0.28, 0.27, 0.19, -1.50, -0.04, 0.49, 0.43, 0.29, 0.28, -0.24, -1.33, 0.61, 0.04, 0.42, 0.30, 0.25, -0.11, 0.71, -0.38, -1.46, 0.18, 0.38, 0.42, 0.32, 0.26, -0.48, -1.39, 0.16, 0.57, 0.44, 0.30, 0.25, -0.23, -1.42, 0.31, 0.30, 0.44, 0.32, 0.25, -0.13, 0.69, -0.62, -0.64, -0.56, -0.77, -0.07, 0.12, 0.14, 0.34, 0.41, 0.41, 0.43, 0.43], "mol_weight_g_mol": 724.90, "charge": 2, "e_tot_ev": -125147.992, "e_above_lowest_kcal_mol": 229.47}


[2]